Who are the original inhabitants of the world of the Witcher 3?

It would indeed appear that gnomes were the first (known) inhabitants of the world The Witcher is set on:

“Elves!” snorted Yarpen. “They—to be accurate—happen to be strangers just as much as you humans, although they arrived in their white ships a good thousand years before you. Now they’re competing with each other to offer us friendship, suddenly we’re all brothers, now they’re grinning and saying: ‘we, kinsmen’, ‘we, the Elder Races’. But before, shi— Hm, hm . . . Before, their arrows used to whistle past our ears when we—”

“So the first on earth were dwarves?”

“Gnomes, to be honest. As far as this part of the world is concerned—because the world is unimaginably huge, Ciri.”
Blood of Elves, chapter 4.

Yarpen says "white ships", possibly as a reference to The Lord of the Rings (of which Sapkowski is an admirer), but it doesn't contradict with the fact that elves came from another world, too - after all, the Wild Hunt used a ship (Naglfar) to travel between worlds as well.

In a later book, an elf who is the closest thing to authority on this subject we have, says elves used to travel between the worlds freely, and that the elves who chose to stay on this world are called Aen Seidhe, while the elves who live on another world are called Aen Elle:

“We, Aen Elle, we cared very little about the deeds of your ancestors, we unlike the Aen Seidhe, our cousins, we left that world a long time ago. We chose another universe, more interesting. In that time, it will surprise you, it was possible to move freely from one world to another quite easily.”
Lady of the Lake, chapter 5

So elves came by their own will, back when they were able to travel between worlds as easily as Ciri can, to this world and tried to impose their dominance on the dwarves and gnomes.

The Conjunction happened afterwards, and that's when the humans were introduced, after having destroyed their home world:

"And then, suddenly, comes the Conjunction of the Spheres and the appearance of humans. The remnants of humanity fleeing from another world, your own world that you totally destroyed, with your own hands that were still covered in hair, just five million years after you formed as a species."
The Tower of the Swallow, chapter 7.

Other creatures were introduced at the same time, if we are to believe the words of a certain vampire:

"I have lived on this earth for four hundred and twenty-eight years according to your reckoning, or six hundred and forty-two years by the elven calendar. I’m the descendant of survivors, unfortunate beings imprisoned here after the cataclysm you call the Conjunction of the Spheres. I’m regarded, to put it mildly, as a monster. As a blood-sucking fiend."
Baptism of Fire, chapter 5.

Crystal structures that have nothing to do with the text >
=====
[1]
=====

I think it's wrong to say that magic was introduced to this world with the conjunction - it's better to assume humans were able to tame magic after arriving to this world with the Conjunction, as per Yennefer's explanation:

"Magic is, therefore, the revenge and the weapon of Chaos. The fact that, following the Conjunction of the Spheres, people have learned to use magic, is the curse and undoing of the world."

[. . .]

"The fact that, following the Conjunction of the Spheres, some chosen few discovered talent and magic within themselves, the fact that they found Art within themselves, is the blessing of beauty."
Blood of Elves, chapter 7.

We can join the following facts together:

  • Humans destroyed their own world

  • Humans are said to have been primitive when they first arrived

  • Humans made a great deal of progress after being introduced to magic

We can speculate that there was no magic on humans' previous world, and that may have led to them destroying it (how? this I can't answer) because they were so primitive. It's thus possible that magic is somehow connected with sentience, but this theory needs a bit more development.

We know about first inhabitants of witcher world from Andrzej Sapkowski's books - there is a conversation between Ciri and Yarpen Zigrin (dwarf) about history of people in this world and about first races.

So first there were gnomes. Next arrived dwarves and haflings. Next arrived elves and conquered all races thanks to magic (this is a reason why dwarves are inhabitants of mountains - all good areas were conquered by elves). The last race on continet were humans. They arrived in small number and weren't destroyed by elves because women of elves recognized human males as good sexual partners - they could have more childrens with humans than with elves. Humans quickly reproduced, they also could use magic, and after several houndreds years they conquered elves.